ROCK SPRINGS– Hunters and anglers praised the Bureau of Land Management’s Preferred Action to defer approximately 173,000 acres of oil and gas leases in the Greater Little Mountain Area of southwest Wyoming.
Decision to Defer Leasing Honors Years of Input
/*
(1)
Density functional theory data (PBE) for a relaxed Zn2Si5N8 crystal.

Symmetry = Pbca
ΔH_f (0 K) = -94.3 kJ per mole of atoms
Total moment = 0.00 μB/cell

a = 9.833 Å, b = 13.488 Å, c = 10.717 Å
α = 90.00°, β = 90.00°, γ = 90.00°
Positions (direct):
1 Zn 0.093 0.043 0.151
2 Zn 0.093 0.457 0.651
3 Zn 0.134 0.019 0.421
4 Zn 0.134 0.481 0.921
5 Zn 0.366 0.519 0.421
6 Zn 0.366 0.981 0.921
7 Zn 0.407 0.543 0.151
8 Zn 0.407 0.957 0.651
9 Zn 0.593 0.043 0.349
10 Zn 0.593 0.457 0.849
11 Zn 0.634 0.019 0.079
12 Zn 0.634 0.481 0.579
13 Zn 0.866 0.519 0.079
14 Zn 0.866 0.981 0.579
15 Zn 0.907 0.543 0.349
16 Zn 0.907 0.957 0.849
17 Si 0.005 0.714 0.016
18 Si 0.005 0.786 0.516
19 Si 0.020 0.163 0.754
20 Si 0.020 0.337 0.254
21 Si 0.145 0.538 0.175
22 Si 0.145 0.962 0.675
23 Si 0.236 0.661 0.602
24 Si 0.236 0.839 0.102
25 Si 0.239 0.721 0.337
26 Si 0.239 0.779 0.837
27 Si 0.261 0.221 0.337
28 Si 0.261 0.279 0.837
29 Si 0.264 0.161 0.602
30 Si 0.264 0.339 0.102
31 Si 0.355 0.038 0.175
32 Si 0.355 0.462 0.675
33 Si 0.480 0.663 0.754
34 Si 0.480 0.837 0.254
35 Si 0.495 0.214 0.016
36 Si 0.495 0.286 0.516
37 Si 0.505 0.714 0.484
38 Si 0.505 0.786 0.984
39 Si 0.520 0.163 0.746
40 Si 0.520 0.337 0.246
41 Si 0.645 0.538 0.325
42 Si 0.645 0.962 0.825
43 Si 0.736 0.661 0.898
44 Si 0.736 0.839 0.398
45 Si 0.739 0.721 0.163
46 Si 0.739 0.779 0.663
47 Si 0.761 0.221 0.163
48 Si 0.761 0.279 0.663
49 Si 0.764 0.161 0.898
50 Si 0.764 0.339 0.398
51 Si 0.855 0.038 0.325
52 Si 0.855 0.462 0.825
53 Si 0.980 0.663 0.746
54 Si 0.980 0.837 0.246
55 Si 0.995 0.214 0.484
56 Si 0.995 0.286 0.984
57 N 0.037 0.036 0.761
58 N 0.037 0.464 0.261
59 N 0.049 0.597 0.061
60 N 0.049 0.903 0.561
61 N 0.097 0.205 0.617
62 N 0.097 0.295 0.117
63 N 0.100 0.229 0.873
64 N 0.100 0.271 0.373
65 N 0.147 0.712 0.477
66 N 0.147 0.788 0.977
67 N 0.153 0.696 0.740
68 N 0.153 0.804 0.240
69 N 0.240 0.103 0.270
70 N 0.240 0.397 0.770
71 N 0.246 0.535 0.579
72 N 0.246 0.965 0.079
73 N 0.254 0.035 0.579
74 N 0.254 0.465 0.079
75 N 0.260 0.603 0.270
76 N 0.260 0.897 0.770
77 N 0.347 0.196 0.740
78 N 0.347 0.304 0.240
79 N 0.353 0.212 0.477
80 N 0.353 0.288 0.977
81 N 0.400 0.729 0.873
82 N 0.400 0.771 0.373
83 N 0.403 0.705 0.617
84 N 0.403 0.795 0.117
85 N 0.451 0.097 0.061
86 N 0.451 0.403 0.561
87 N 0.463 0.536 0.761
88 N 0.463 0.964 0.261
89 N 0.537 0.036 0.739
90 N 0.537 0.464 0.239
91 N 0.549 0.597 0.439
92 N 0.549 0.903 0.939
93 N 0.597 0.205 0.883
94 N 0.597 0.295 0.383
95 N 0.600 0.229 0.627
96 N 0.600 0.271 0.127
97 N 0.647 0.712 0.023
98 N 0.647 0.788 0.523
99 N 0.653 0.696 0.760
100 N 0.653 0.804 0.260
101 N 0.740 0.103 0.230
102 N 0.740 0.397 0.730
103 N 0.746 0.535 0.921
104 N 0.746 0.965 0.421
105 N 0.754 0.035 0.921
106 N 0.754 0.465 0.421
107 N 0.760 0.603 0.230
108 N 0.760 0.897 0.730
109 N 0.847 0.196 0.760
110 N 0.847 0.304 0.260
*/
_The data records stop here_
The decision to defer leasing honored years of input from Wyoming Governor Matt Mead, former Governor Dave Freudenthal, the Sweetwater County Commission, Wyoming state delegates, the Greater Little Mountain Coalition and other conservation groups.
The decision strikes a balance, temporarily safeguarding critical wildlife resources, providing jobs and allowing energy development in the right places.
“The Greater Little Mountain Coalition continues to work to strike a balance on this landscape, but we are very pleased with this decision,” said Nick Dobric for the Theodore Roosevelt Conservation Partnership.
The BLM “Made the Right Decision”
The environmental assessment addresses 1,040,818 acres and 702 parcels, which had all been nominated for leasing.
“The BLM listened to the desires of the people, weighed the potential impacts to fish and wildlife and made the right decision,” said Wyoming Wildlife Federation’s Field Director Joy Bannon.
For more than a decade, a coalition of local stakeholders pursued a community-driven, broadlysupported proposal that would safeguard much of Little Mountain’s most important big game habitat and fisheries, while still allowing for energy development in some areas.
Leasing parcels in the Greater Little Mountain Area prior to the completion of the Rock Springs Resource Plan would have jeopardized this collaborative effort and endangered the big game herds and trout streams that are beloved by Wyomingites and people from around the nation who come to Sweetwater County and the Greater Little Mountain Area specifically to hunt and fish.
The GLMC Has Been Advocating for the Area Since 2008
The decision not to lease the area was made public with the August 29, 2018 release of the Environmental Assessment for BLM’s Wyoming 4th Quarter Oil and Gas Lease Sale. Over 173,000 acres of parcels were nominated in the Greater Little Mountain Area.
“The Coalition has been advocating for the Greater Little Mountain Area since 2008 and through local input from sportsmen and sportswomen and decision-makers submitted a proposal to be included in the draft Rock Springs Resource Management Plan,” said Josh Coursey, CEO for the Muley Fanatic Foundation.
“Our management proposal asks for an upfront plan for oil and gas leasing with strong resource protections to be included in the revised RMP in a signed Record of Decision.”
Little Mountain Area “Needs to be Protected
The coalition re-negotiated the boundary of interest several years ago to avoid the complexities of land ownership in a checkerboard land ownership area. All the parcels within the Coalition’s current boundary have been deleted, deferred or partially deferred.
“Energy means a lot to Wyoming, but so does being able to hunt and fish in my backyard,” said Monte Morlock of the United Steelworkers. “There is a time and a place for striking a balance with oil and gas development, Little Mountain area is just this place and needs to be protected.”
BLM 4th Quarter Lease Sale
Data records, kept here for reference
____________
Computed, not measured: a relaxed structure of Li2Ti3CrO8 at the PBE+U level of DFT.

Cell and atoms, written as POSCAR:
```
Li2Ti3CrO8
1.0
0.026 4.243 4.244
8.459 -4.191 4.242
4.210 4.209 -8.427
O Ti Li Cr
32 12 8 4
Direct
0.343 0.265 0.693
0.244 0.898 0.932
0.719 0.422 0.432
0.706 0.902 0.418
0.318 0.289 0.193
0.871 0.291 0.194
0.593 0.015 0.193
0.691 0.897 0.931
0.569 0.039 0.693
0.093 0.515 0.193
0.993 0.148 0.432
0.607 0.536 0.207
0.621 0.540 0.694
0.956 0.652 0.918
0.219 0.922 0.432
0.121 0.040 0.694
0.969 0.173 0.932
0.191 0.397 0.931
0.442 0.147 0.431
0.456 0.152 0.918
0.206 0.402 0.418
0.819 0.789 0.193
0.857 0.286 0.707
0.844 0.765 0.693
0.469 0.673 0.932
0.357 0.786 0.707
0.371 0.790 0.194
0.942 0.647 0.431
0.744 0.398 0.932
0.107 0.036 0.207
0.069 0.539 0.693
0.493 0.648 0.432
0.656 0.719 0.313
0.906 0.469 0.812
0.656 0.719 0.812
0.031 0.344 0.063
0.906 0.469 0.313
0.281 0.094 0.562
0.781 0.594 0.562
0.157 0.218 0.313
0.406 0.969 0.812
0.531 0.844 0.063
0.406 0.969 0.313
0.156 0.218 0.812
0.501 0.500 0.000
0.001 0.000 0.000
0.812 0.937 0.625
0.751 0.250 0.500
0.312 0.437 0.625
0.251 0.750 0.500
0.062 0.687 0.125
0.562 0.187 0.125
0.156 0.719 0.812
0.656 0.219 0.812
0.406 0.469 0.313
0.907 0.969 0.313
```

## Properties
offset from the most stable computed form: 0.00 eV/f.u.
formation energy: -3.064 eV/atom
total magnetization: 0.0 Bohr magnetons per cell
E_tot: -8.0105 eV/atom

=====

Computed, not measured: a relaxed structure of Li2TiCrO4 at the PBE+U level of DFT.

Cell and atoms, written as POSCAR:
```
Li2TiCrO4
1.0
1.561 -2.496 2.944
-5.219 0.205 5.886
-5.757 -7.069 -2.941
Ti O Cr Li
4 16 4 8
Direct
0.312 0.376 0.564
0.562 0.876 0.814
0.063 0.875 0.311
0.813 0.374 0.062
0.810 0.381 0.571
0.254 0.492 0.733
0.440 0.119 0.679
0.371 0.258 0.393
0.125 0.749 0.149
0.619 0.762 0.640
0.940 0.120 0.181
0.006 0.988 0.484
0.862 0.276 0.888
0.688 0.623 0.929
0.310 0.380 0.071
0.560 0.880 0.320
0.505 0.989 0.982
0.191 0.617 0.430
0.756 0.488 0.235
0.060 0.880 0.818
0.748 0.505 0.749
0.000 0.999 0.998
0.500 0.999 0.500
0.252 0.496 0.253
0.938 0.124 0.685
0.626 0.748 0.126
0.876 0.248 0.375
0.688 0.624 0.436
0.187 0.626 0.938
0.438 0.123 0.186
0.124 0.752 0.626
0.373 0.253 0.875
```

## Properties
offset from the most stable computed form: 0.05 eV/f.u.
formation energy: -2.654 eV/atom
total magnetization: 14.4 Bohr magnetons per cell
E_tot: -7.2050 eV/atom

=====

Computed, not measured: a relaxed structure of Li24Ti7Cr5O36 at the PBE+U level of DFT.

Cell and atoms, written as POSCAR:
```
Li24Ti7Cr5O36
1.0
5.058 0.000 0.000
0.768 9.782 0.000
2.497 1.960 13.080
O Li Ti Cr
36 24 7 5
Direct
0.596 0.864 0.736
0.502 0.362 0.359
0.379 0.634 0.882
0.222 0.135 0.714
0.425 0.361 0.575
0.782 0.866 0.286
0.723 0.636 0.215
0.661 0.862 0.522
0.610 0.364 0.120
0.927 0.862 0.075
0.164 0.637 0.309
0.944 0.365 0.452
0.004 0.138 0.144
0.453 0.866 0.951
0.069 0.136 0.929
0.337 0.139 0.477
0.051 0.636 0.547
0.830 0.362 0.688
0.832 0.636 0.977
0.329 0.862 0.190
____________
The 4th quarter lease sale proposed more than 1 million acres of leases in Wyoming and would have been the largest lease sale in the lower 48 states in decades.
BLM’s combined nominations for lease sale parcels for 3rd and 4th quarter total almost 1.4 million acres in Wyoming alone.
“We are blessed to have a strong community of support to conserve wild places needed by fish and wildlife to thrive, working with our local, state and federal partners is key,” said Tasha Sorensen of Trout Unlimited.
More Photos of the Greater Little Mountain Area
'''
Arrangement one

! Li4Fe3Ni3Sb2O16, optimized geometry, DFT PBE+U; values from VASP
! magnetization: 0.643 μB per atom
! calculated density: 5.0 g cm⁻³
&SYSTEM
  ibrav = 0, nat = 28, ntyp = 5
/
ATOMIC_SPECIES
Li 6.94 Li.upf
Fe 55.84 Fe.upf
Ni 58.69 Ni.upf
Sb 121.76 Sb.upf
O 16.00 O.upf
ATOMIC_POSITIONS angstrom
Li 0.0000 0.0000 0.0000
Li -0.1080 0.0000 4.7937
Li 3.4136 0.0000 0.8464
Li 6.6670 0.0000 5.6164
Fe 4.0345 1.3938 7.4516
Fe 4.0345 -1.3938 7.4516
Fe 8.3921 0.0000 2.6342
Ni 1.5941 0.0000 7.4573
Ni 5.9260 1.4127 2.6286
Ni 5.9260 -1.4127 2.6286
Sb 3.2690 0.0000 4.7870
Sb 6.7821 0.0000 0.0022
O 2.5280 1.3218 6.1806
O 4.1198 1.4872 3.7428
O 1.5402 0.0000 3.7716
O 5.6709 1.4627 8.5905
O 3.2870 0.0000 8.4785
O 4.8094 0.0000 6.1028
O 2.5280 -1.3218 6.1806
O 5.2681 0.0000 1.4011
O 7.5638 1.3030 1.3555
O 4.1198 -1.4872 3.7428
O 6.7869 0.0000 3.5897
O 5.6709 -1.4627 8.5905
O 8.2450 0.0000 8.5971
O 7.5638 -1.3030 1.3555
O 9.9731 0.0000 6.6841
O 10.0974 0.0000 1.8613
CELL_PARAMETERS angstrom
5.0972 -2.9228 0.0000
5.0972 2.9228 0.0000
-0.2363 0.0000 9.6409

***

Arrangement two

! Li4Fe3Ni3Sb2O16, optimized geometry, DFT PBE+U; values from VASP
! magnetization: 0.643 μB per atom
! calculated density: 4.9 g cm⁻³
&SYSTEM
  ibrav = 0, nat = 28, ntyp = 5
/
ATOMIC_SPECIES
Li 6.94 Li.upf
Fe 55.84 Fe.upf
Ni 58.69 Ni.upf
Sb 121.76 Sb.upf
O 16.00 O.upf
ATOMIC_POSITIONS angstrom
Li 0.0000 0.0000 0.0000
Li 2.9201 5.1586 4.8809
Li 2.9404 1.7853 5.7187
Li 5.8984 3.4648 0.8391
Fe 1.4900 0.9233 2.6876
Fe 4.3995 0.9212 2.6992
Fe 5.9218 1.8347 7.5296
Ni 2.9333 3.4301 2.6937
Ni 4.4359 4.3483 7.5535
Ni 7.3445 4.3659 7.5516
Sb 2.9539 1.7282 0.0294
Sb 5.8717 3.5059 4.9196
O 2.9397 5.1704 6.7208
O 1.6163 2.5034 1.3912
O 1.4791 1.0215 8.7007
O 2.9831 3.5950 8.7074
O 4.3943 4.3615 3.8499
O 2.9378 1.7606 3.7128
O 2.9388 0.2004 1.4078
O 4.2909 2.4800 1.3804
O 5.8236 5.0385 6.2978
O 4.5772 2.6798 6.2425
O 5.8965 3.5822 8.4992
O 4.4541 0.9755 8.6835
O 7.3384 4.3744 3.8666
O 5.9042 1.7811 3.8419
O 7.2316 2.7508 6.2588
O 8.8244 5.1589 1.8332
CELL_PARAMETERS angstrom
5.9079 0.0000 0.0000
2.9228 5.1437 0.0000
0.0208 0.1224 9.7030

***

Name the most stable of them. arrangement two.

***

Arrangement one

! Li4TiV3O8, optimized geometry, DFT PBE+U; values from VASP
! magnetization: 0.437 μB per atom
! calculated density: 3.9 g cm⁻³
&SYSTEM
  ibrav = 0, nat = 16, ntyp = 4
/
ATOMIC_SPECIES
Li 6.94 Li.upf
Ti 47.87 Ti.upf
V 50.94 V.upf
O 16.00 O.upf
ATOMIC_POSITIONS angstrom
Li 0.0000 0.0000 0.0000
Li -1.4967 -0.8403 4.9069
Li 0.0456 5.1708 0.0067
Li 1.5012 -0.8380 4.8945
Ti 1.4942 0.8874 2.4528
V -1.4921 0.8874 2.4532
V -0.0161 -1.7025 2.4499
V 2.9695 -1.7042 2.4521
O -1.6136 4.0709 1.3233
O -0.1734 1.5676 1.3293
O 0.0687 0.1602 3.5853
O 1.5017 -2.3520 3.5944
O 2.9136 1.5986 1.3270
O 1.4908 4.1337 1.3076
O 3.1609 0.2067 3.5783
O 4.6006 -2.2938 3.5811
CELL_PARAMETERS angstrom
5.9651 0.0000 0.0000
-2.9409 5.1916 0.0000
-0.0436 -3.4465 4.9098

***

Arrangement two
'''
Check out these shots SweetwaterNow took earlier this year when we joined the Greater Little Mountain Coalition in an aerial and ground tour of the Greater Little Mountain Area.
Check out the story here: